Public Notices

  • Public Meeting Announcement (Sept. 17, '24): Jamestown, North Dakota: Pipestem Reservoir and the Sustainable Rivers Program

Here the text breaks off for data records =
- - -
DFT (PBE) results for a relaxed LiLuZnAg crystal.

## Properties
Magnetization (μB per formula unit): 0.0
VASP energy (eV/atom): -2.83
Calculated volume (Å³ per atom): 19.32
Energy relative to the elements (meV per atom): -194
Mass density (g/cm3): 7.63
SG: F-43m
Crystal system: cubic

a = 6.7611 Å, b = 6.7611 Å, c = 6.7611 Å
α = 90.00°, β = 90.00°, γ = 90.00°
Atoms (fractional coordinates):
Li (0.0000, 0.0000, 0.0000)
Li (0.0000, 0.5000, 0.5000)
Li (0.5000, 0.0000, 0.5000)
Li (0.5000, 0.5000, 0.0000)
Lu (0.0000, 0.0000, 0.5000)
Lu (0.0000, 0.5000, 0.0000)
Lu (0.5000, 0.0000, 0.0000)
Lu (0.5000, 0.5000, 0.5000)
Zn (0.2500, 0.2500, 0.2500)
Zn (0.2500, 0.7500, 0.7500)
Zn (0.7500, 0.2500, 0.7500)
Zn (0.7500, 0.7500, 0.2500)
Ag (0.2500, 0.2500, 0.7500)
Ag (0.2500, 0.7500, 0.2500)
Ag (0.7500, 0.2500, 0.2500)
Ag (0.7500, 0.7500, 0.7500)



DFT (PBE) results for a relaxed Li3NdTl crystal.

## Properties
Magnetization (μB per formula unit): 0.0
VASP energy (eV/atom): -2.68
Calculated volume (Å³ per atom): 24.67
Energy relative to the elements (meV per atom): -101
Mass density (g/cm3): 4.97
SG: Cmmm
Crystal system: orthorhombic

a = 14.6539 Å, b = 14.6539 Å, c = 3.4174 Å
α = 90.00°, β = 90.00°, γ = 160.35°
Atoms (fractional coordinates):
Li (0.0459, 0.9541, 0.0000)
Li (0.2248, 0.7752, 0.5000)
Li (0.4416, 0.5584, 0.5000)
Li (0.5584, 0.4416, 0.5000)
Li (0.7752, 0.2248, 0.5000)
Li (0.9541, 0.0459, 0.0000)
Nd (0.3324, 0.6676, 0.0000)
Nd (0.6676, 0.3324, 0.0000)
Tl (0.1210, 0.8790, 0.5000)
Tl (0.8790, 0.1210, 0.5000)



DFT (PBE) results for a relaxed Cr2NiAs crystal.

## Properties
Magnetization (μB per formula unit): 0.0
VASP energy (eV/atom): -7.27
Calculated volume (Å³ per atom): 12.37
Energy relative to the elements (meV per atom): 150
Mass density (g/cm3): 7.97
SG: P2/m
Crystal system: monoclinic

a = 2.6619 Å, b = 3.8048 Å, c = 4.9870 Å
α = 90.00°, β = 101.61°, γ = 90.00°
Atoms (fractional coordinates):
Cr (0.0696, 0.0000, 0.2369)
Cr (0.9304, 0.0000, 0.7631)
Ni (0.5000, 0.5000, 0.0000)
As (0.5000, 0.5000, 0.5000)



DFT (PBE) results for a relaxed LaPmErTm2 crystal.

## Properties
Magnetization (μB per formula unit): 0.0
VASP energy (eV/atom): -4.35
Calculated volume (Å³ per atom): 34.26
Energy relative to the elements (meV per atom): 290
Mass density (g/cm3): 7.65
SG: Pmmm
Crystal system: orthorhombic

a = 3.5700 Å, b = 5.5637 Å, c = 8.6232 Å
α = 90.00°, β = 90.00°, γ = 90.00°
Atoms (fractional coordinates):
La (0.0000, 0.0000, 0.0000)
Pm (0.5000, 0.5000, 0.0000)
Er (0.5000, 0.0000, 0.5000)
Tm (0.0000, 0.5000, 0.3226)
Tm (0.0000, 0.5000, 0.6774)


Below is a relaxed BaMo4P2O16 crystal, with properties calculated at the PBE+U level.

a = 7.6018 Å, b = 7.6018 Å, c = 11.4406 Å
α = 90.00°, β = 90.00°, γ = 90.00°
Last column: nearest neighbours and their distance in Å.
Space group I-42m (No. 121)
Asymmetric unit:
Ba  0.0000  0.0000  0.0000 (multiplicity 2)  12 O 2.96-3.10
Mo  0.1223  0.1223  0.3721 (multiplicity 8)  1 O 1.72
- - -

    Expiration date: 9/17/2024

    The U.S. Army Corps of Engineers, Omaha District, is hosting a public meeting on Tuesday, September 17, 2024, in Jamestown, N.D., to present the Pipestem Reservoir as a location of interest in the Sustainable Rivers Program (SRP). Pipestem Reservoir has been accepted as part of the SRP, with plans to continue water quality sampling, updating the water quality model, analysis of release alternatives to improve water quality and more. The intent of this meeting is to discuss additional potential environmental benefits for the reservoir with local stakeholders. All are welcome, and participants are encouraged to visit and share their thoughts on both current and future operations regarding environmental benefits for the reservoir. The meeting will have presentations that cover the history of SRP and its involvement with the Pipestem Reservoir and James River Basin. There will be stations to talk with subject matter experts on multiple topics in the basin, and a place to leave comments for review.
  • NWO-2013-00278-BIS

**Someone pasted crystal structures at this point:**
Computed, not measured: crystalline SrLa4Cr5O15 at its relaxed geometry at the PBE+U level of DFT.

Properties
Final energy ... -7.9413 eV per atom
Symmetry ... Cm, No. 8

a = 8.7613 Å, b = 8.7613 Å, c = 6.8037 Å
α = 104.82°, β = 104.82°, γ = 36.95°
Atoms (fractional coordinates):
Sr 0.0000 0.0000 0.0000
La 0.2040 0.2040 0.7879
La 0.4028 0.4028 0.5822
La 0.5998 0.5998 0.4067
La 0.8021 0.8021 0.2042
Cr 0.0016 0.0016 0.5002
Cr 0.2017 0.2017 0.2950
Cr 0.4016 0.4016 0.0978
Cr 0.6006 0.6006 0.8985
Cr 0.7997 0.7997 0.6991
O 0.0926 0.5881 0.9070
O 0.1042 0.1042 0.4079
O 0.2108 0.6977 0.3048
O 0.3097 0.3097 0.2290
O 0.3098 0.7870 0.6967
O 0.4173 0.9014 0.0882
O 0.4988 0.9991 0.4982
O 0.5050 0.5050 0.0001
O 0.5881 0.0926 0.9070
O 0.6910 0.6910 0.7730
O 0.6977 0.2108 0.3048
O 0.7870 0.3098 0.6967
O 0.8972 0.8972 0.5884
O 0.9014 0.4173 0.0882
O 0.9991 0.4988 0.4982

Computed, not measured: crystalline LaTaCr2O8 at its relaxed geometry at the PBE+U level of DFT.

Properties
Final energy ... -8.1670 eV per atom
Symmetry ... P-1, No. 2

a = 4.7679 Å, b = 4.7776 Å, c = 6.5561 Å
α = 89.64°, β = 89.59°, γ = 87.65°
Atoms (fractional coordinates):
La 0.0000 0.0000 0.0000
Ta 0.0000 0.0000 0.5000
Cr 0.4963 0.4962 0.7422
Cr 0.5037 0.5038 0.2578
O 0.2094 0.7883 0.2879
O 0.2150 0.7943 0.7118
O 0.3044 0.3072 0.4948
O 0.3324 0.3392 0.9765
O 0.6676 0.6608 0.0235
O 0.6956 0.6928 0.5052
O 0.7850 0.2057 0.2882
O 0.7906 0.2117 0.7121

Computed, not measured: crystalline LaTaCrO6 at its relaxed geometry at the PBE+U level of DFT.

Properties
Final energy ... -8.5222 eV per atom
Symmetry ... P4_2nm, No. 102

a = 4.9173 Å, b = 4.9173 Å, c = 9.7752 Å
α = 90.00°, β = 90.00°, γ = 90.00°
Atoms (fractional coordinates):
La 0.0000 0.0000 0.0000
La 0.5000 0.5000 0.5000
Ta 0.0000 0.0000 0.3421
Ta 0.5000 0.5000 0.8421
Cr 0.0000 0.0000 0.6730
Cr 0.5000 0.5000 0.1730
O 0.1697 0.1697 0.5094
O 0.2195 0.2195 0.8122
O 0.2216 0.2216 0.2027
O 0.2784 0.7216 0.7027
O 0.2805 0.7195 0.3122
O 0.3303 0.6697 0.0094
O 0.6697 0.3303 0.0094
O 0.7195 0.2805 0.3122
O 0.7216 0.2784 0.7027
O 0.7784 0.7784 0.2027
O 0.7805 0.7805 0.8122
O 0.8303 0.8303 0.5094

Computed, not measured: crystalline LaTaCrO2 at its relaxed geometry at the PBE+U level of DFT.

Properties
Final energy ... -7.9613 eV per atom
Symmetry ... P4/mmm, No. 123

a = 4.0640 Å, b = 4.0640 Å, c = 5.4293 Å
α = 90.00°, β = 90.00°, γ = 90.00°
Atoms (fractional coordinates):
La 0.0000 0.0000 0.0000
Ta 0.5000 0.5000 0.5000
Cr 0.5000 0.5000 0.0000
O 0.0000 0.5000 0.5000
O 0.5000 0.0000 0.5000

Computed, not measured: crystalline La2TaCrO at its relaxed geometry at the PBE+U level of DFT.

Properties
Final energy ... -5.9990 eV per atom
Symmetry ... P4/mmm, No. 123

a = 5.9353 Å, b = 5.9353 Å, c = 3.8726 Å
α = 90.00°, β = 90.00°, γ = 90.00°
Atoms (fractional coordinates):
La 0.0000 0.5000 0.0000
La 0.5000 0.0000 0.0000
Ta 0.0000 0.0000 0.0000
Cr 0.5000 0.5000 0.5000
O 0.0000 0.0000 0.5000

    Expiration date: 8/5/2024

    The District Engineer, Omaha, is evaluating a permit application from Mountrail County for a 6-mile road reconstruction project on County Road 11 centered on Latitude 48.167466° North, Longitude -102.148896° West. The project would consist of widening the existing embankment to increase existing 1-foot-wide shoulders to 5 feet, extending culverts, and modifying the vertical profile to increase sight distance. The project would result in a permanent loss of 0.90-acre of wetlands and temporary impacts to 0.80-acre. Project impacts are proposed to be offset through purchase of mitigation credits. Work would occur in Sections 1, 2, 11, and 12, Township 154 North, Range 89 West, and Sections 11-14, 23-26, and 35-36, Township 155 North, Range 89 West, Mountrail County, North Dakota.

  • NWO-2007-02353-BIS

    Expiration date: 6/20/2024

    The District Engineer, Omaha District, is evaluating a permit application from the City of Bismarck for the Tyler Coulee Regional Stormwater Improvements Project. The City proposes to upgrade flow passage and check erosion at road crossings on Valley Drive, Clairmont Road and River Road; construct four dry detention basins to reduce peak flow; and upgrade the berms on either side of the channel as it goes through Pioneer Park. Construction of the project would result in the permanent loss of 0.78-acre of waters of the US. The project site is located in northwest Bismarck on Tyler Coulee in Sections 17, 18, 19, 20, 25, 29 and 30, Township 139 North, Range 80 West, centered on Latitude 46.853180° North, Longitude -100.813689° West, Bismarck, Burleigh County, North Dakota.